jQuery Form Plugins
Download Free jQuery Form Validation, Input Mask, Select, Checkbox, Radio Button, Textarea and other form element enhancement plugins at our jQuery Form Plugin section. Page 14 .
Floating Contact Button (Form) In jQuery - fancyMessenger
- Form - 1873 ViewsA lightweight jQuery plugin that displays a floating contact button (form) to collect user feedback on your web app.
Character Counter Including Whitespaces - Characters Caculator
- Form - 502 ViewsAn easy-to-use and developer-friendly character counter plugin that provides instant character count statistics for text fields like textarea and input.
Easy Filterable Dual List Box Plugin - jQuery DualSelectList
- Form - 13036 ViewsYet another jQuery plugin for creating a multi-selectable dual list box where the users are able to move items between two filterable lists.
Bootstrap Compatible Form Validator In jQuery - validate.js
- Form - 2244 ViewsA form validation plugin that uses Bootstrap form validation classes (or your own CSS classes) to highlight invalid form fields and display custom error messages.
Single Page Signup Form Plugin In jQuery
- Form - 408 ViewsA user-friendly single page signup form plugin that optimises the user registration process and improves the registration experience, thereby increasing conversion rates.
Populate Form Fields With JSON Data - json-form-binding.js
- Form - 18501 Viewsjson-form-binding.js is a dead simple jQuery dynamic form creation plugin which can be used to populate form fields with JSON data.
Submit Form Data Over AJAX - jQuery ajaxform
- Form - 2271 ViewsA tiny and easy-to-use AJAX form jQuery plugin that sends form data via AJAX requests and returns response messages on submit.
Smart jQuery Autocomplete Plugin For Input Fields - Autocomplete.js
- Form - 3072 ViewsAutocomplete.js is a small jQuery autocomplete plugin for displaying a suggestion list which enables the users to complete text in sequence while typing.
JavaScript Plugin For Sliding Toggle Switches - LC Switch
- Form - 43638 ViewsA tiny jQuery and Vanilla JS plugin that converts default checkbox & radio inputs into pretty switches or toggle buttons, with smooth sliding effects powered by CSS3 transitions.
### Between two parts of the text: molecular data
____________
Record 1
The following is a quantum chemistry calculation of 2 unconnected molecules or ions with the total composition C3H12NO2 in a non-equilibrium geometry, from the OMol25 dataset.

Positions of all 18 atoms, in Å:
C  0.23869  1.19214  1.26544
O  -1.21147  1.37933  1.22307
C  0.65659  0.94938  -0.16875
C  2.17907  0.82867  -0.25159
N  -0.08401  -0.41838  -0.46064
H  0.75100  2.07060  1.64956
H  0.35156  0.45202  2.06407
H  -1.36820  2.26899  1.57641
H  0.13569  1.61614  -0.84885
H  2.62288  1.19026  0.68366
H  2.51545  1.63819  -0.91014
H  2.61648  -0.12354  -0.51044
H  0.04357  -1.15002  0.23783
H  -1.06916  -0.15422  -0.39619
H  0.18704  -0.71617  -1.38523
H  -2.33822  -3.54592  -0.66623
H  -3.11391  -4.09141  -1.88901
O  -3.11305  -3.38604  -1.21297

Calculated values
Molar mass   94.134 Da
Largest force on an atom   3.2 eV/Å
Spin multiplicity   1
E_HOMO   -14.50 eV
Total charge   +1
Calculated total energy   -326.46219 a.u.

Löwdin atomic charge list, values in e, 2 entries: number 1, C, carries -0.199; number 2, O, carries -0.070



Record 2
The following is a quantum chemistry calculation of 2 unconnected molecules or ions with the total composition C3H12NO2 in a non-equilibrium geometry, from the OMol25 dataset.

Positions of all 18 atoms, in Å:
C  -1.28765  -0.01750  -0.68446
C  -0.23278  0.04879  0.45699
C  -0.95801  0.36398  1.75087
O  0.05047  0.66239  2.73435
N  -0.54848  -0.59920  -1.90125
H  -2.05143  -0.78328  -0.38954
H  -1.67994  0.92544  -1.06443
H  0.44446  0.85243  0.13530
H  0.20978  -0.97721  0.50775
H  -1.48054  -0.50412  2.12202
H  -1.56552  1.25079  1.58241
H  0.73688  1.14427  2.24729
H  -0.39775  -1.56231  -1.61690
H  -1.04730  -0.36678  -2.78068
H  0.33620  -0.05323  -1.99909
H  3.29808  -0.33230  -1.82131
H  2.46868  -0.28621  -0.75065
O  2.32834  -0.37024  -1.71396

Calculated values
Molar mass   94.134 Da
Largest force on an atom   2.3 eV/Å
Spin multiplicity   1
E_HOMO   -14.05 eV
Total charge   +1
Calculated total energy   -326.45795 a.u.

Löwdin atomic charge list, values in e, 2 entries: number 1, C, carries -0.127; number 2, C, carries -0.188



Record 3
The following is a quantum chemistry calculation of 3 unconnected molecules or ions with the total composition C3H12NO2 in a non-equilibrium geometry, from the OMol25 dataset.

Positions of all 18 atoms, in Å:
C  -0.37848  1.66767  -0.55668
C  -1.28189  0.88579  0.34891
C  -1.51779  1.15810  1.63741
N  -1.60047  -0.47386  -0.14662
H  0.67616  1.38269  -0.39360
H  -0.58217  1.49767  -1.60962
H  -0.46102  2.71640  -0.29069
H  -2.45354  0.72562  2.00501
H  -0.85627  1.76339  2.22697
H  -1.83558  -0.37360  -1.13548
H  -2.40331  -0.88864  0.32594
H  -0.66692  -1.03423  0.00264
H  1.51120  -1.49403  -0.41310
H  1.01936  -1.90993  1.00391
O  0.69633  -1.59778  0.15277
H  3.81960  -1.26622  -0.44995
H  3.30847  -1.58975  -1.76014
O  3.00631  -1.16929  -0.94769

Calculated values
Molar mass   94.134 Da
Largest force on an atom   1.9 eV/Å
Spin multiplicity   1
____________
Create Beautiful iOS-style Inputs Using Pineput Plugin
- Form - 1248 ViewsPineput is a small jQuery plugin to create beautiful, animated input fields with floating labels/placeholders as you see on iOS and Android apps.
Fully Featured Form Serializer In jQuery - serializeJSON
- Form - 1125 ViewsA robust jQuery based form serializer that makes it easier to serialize your form data into a JavaScript object containing key/value pairs for further use.
Convert Selects Into Checkbox/Radio Inputs - SelectToCheckbox
- Form - 808 ViewsA jQuery plugin that converts single/multiple select boxes into a list of radio or checkbox inputs styled with Bootstrap framework.
Display A Popup And Play A Sound When A Checkbox Is Checked
- Form - 1773 ViewsA tiny jQuery script that enables a checkbox to toggle a notification popup and play a sound when checked.
Validate Form Fields Using HTML Data Attributes - jQuery validate.js
- Form - 1984 ViewsA simple, lightweight (less than 1kb) jQuery form validation plugin that works with most commonly used input fields like username, email, number, password, and more.
Responsive & Touch-Friendly jQuery Range Slider Plugin
- Form - 13534 ViewsA small and fast jQuery plugin to create a customizable, responsive, touch-enabled range slider control from the native HTML5 range input.
Check If Passwords Meet Complexity Requirements - password.js
- Form - 913 ViewsCheck whether the password you typed meets the complexity requirements and display a summary in the Bootstrap popover component while typing.
SEO-friendly Custom Select Box In jQuery
- Form - 2309 ViewsA custom select box jQuery plugin that converts a regular select element into a semantic, SEO-friendly dropdown list.
Validate IP Address In Input Field - jQuery IpInput
- Form - 2229 ViewsA tiny jQuery IP address validation plugin that can be used to check if a given IP v4 address (or an IP address range) is valid on submit.
Disable Chrome Autofill & Autocomplete With jQuery - disableAutoFill
- Form - 30569 ViewsdisableAutoFill is a lightweight jQuery plugin for disabling autofill and autocomplete functionalities in Google Chrome browser.
Auto Stretch Textarea To Fit Its Content - jQuery autoResize
- Form - 2117 ViewsA jQuery textarea resize plugin that automatically increases and decreases the height of your textarea element to fit its content.